_Listing_
~~~
No. 1
Material: NaNiF3
Method: DFT, PBE with a Hubbard U
State: optimized geometry

Output
- calculated density (g/cm³) = 3.92
- energy with MP2020 corrections (eV/f.u.) = -25.83

```
data_NaNiF3
_cell_length_a 5.6065
_cell_length_b 7.7622
_cell_length_c 5.4005
_cell_angle_alpha 90.00
_cell_angle_beta 90.00
_cell_angle_gamma 90.00
_symmetry_space_group_name_H-M 'P n m a'
_symmetry_Int_Tables_number 62
loop_
_symmetry_equiv_pos_as_xyz
'x,y,z'
'-x,-y,-z'
'-x+1/2,-y,z+1/2'
'x+1/2,y,-z+1/2'
'x+1/2,-y+1/2,-z+1/2'
'-x+1/2,y+1/2,z+1/2'
'-x,y+1/2,-z'
'x,-y+1/2,z'
loop_
_atom_site_label
_atom_site_type_symbol
_atom_site_fract_x
_atom_site_fract_y
_atom_site_fract_z
Na1 Na 0.0595 0.2500 0.0164
Ni1 Ni 0.0000 0.0000 0.5000
F1 F 0.0365 0.7500 0.3951
F2 F 0.2000 0.5545 0.8040
```

***

No. 2
Material: Mn3Zn2AsO12
Method: DFT, PBE with a Hubbard U
State: optimized geometry

Output
- calculated density (g/cm³) = 3.37
- energy with MP2020 corrections (eV/f.u.) = -110.14
- offset from the most stable computed form (eV/f.u.) = 4.38
- magnetic moment (μB per cell) = 5.0

```
data_Mn3Zn2AsO12
_cell_length_a 25.6361
_cell_length_b 3.0146
_cell_length_c 7.4891
_cell_angle_alpha 90.00
_cell_angle_beta 106.55
_cell_angle_gamma 90.00
_symmetry_space_group_name_H-M 'C 1 m 1'
_symmetry_Int_Tables_number 8
loop_
_symmetry_equiv_pos_as_xyz
'x,y,z'
'x,-y,z'
'x+1/2,y+1/2,z'
'x+1/2,-y+1/2,z'
loop_
_atom_site_label
_atom_site_type_symbol
_atom_site_fract_x
_atom_site_fract_y
_atom_site_fract_z
Mn1 Mn 0.0000 0.0000 0.0000
Mn2 Mn 0.0872 0.5000 0.8269
Mn3 Mn 0.1741 0.0000 0.7226
Zn1 Zn 0.2834 0.5000 0.0307
Zn2 Zn 0.3795 0.0000 0.9572
As1 As 0.4763 0.5000 0.4772
O1 O 0.0260 0.0000 0.6876
O2 O 0.0502 0.5000 0.0190
O3 O 0.1231 0.5000 0.6321
O4 O 0.1312 0.0000 0.9172
O5 O 0.2028 0.0000 0.5385
O6 O 0.2160 0.5000 0.8536
O7 O 0.2942 0.5000 0.5960
O8 O 0.3306 0.0000 0.0975
O9 O 0.3403 0.5000 0.7206
O10 O 0.4363 0.0000 0.4868
O11 O 0.4480 0.0000 0.9275
O12 O 0.4934 0.5000 0.2809
```

***

No. 3
Material: Mn3Cu2O8
Method: DFT, PBE with a Hubbard U
State: optimized geometry

Output
- calculated density (g/cm³) = 5.05
- energy with MP2020 corrections (eV/f.u.) = -94.98
- magnetic moment (μB per cell) = 14.0

```
data_Mn3Cu2O8
_cell_length_a 9.6720
_cell_length_b 5.7572
_cell_length_c 5.0295
_cell_angle_alpha 90.00
_cell_angle_beta 99.87
_cell_angle_gamma 90.00
_symmetry_space_group_name_H-M 'C 1 2/m 1'
_symmetry_Int_Tables_number 12
loop_
_symmetry_equiv_pos_as_xyz
'x,y,z'
'-x,-y,-z'
'-x,y,-z'
'x,-y,z'
'x+1/2,y+1/2,z'
'-x+1/2,-y+1/2,-z'
'-x+1/2,y+1/2,-z'
'x+1/2,-y+1/2,z'
loop_
_atom_site_label
_atom_site_type_symbol
_atom_site_fract_x
_atom_site_fract_y
_atom_site_fract_z
Mn1 Mn 0.0000 0.0000 0.0000
Mn2 Mn 0.0000 0.2562 0.5000
Cu1 Cu 0.2107 0.5000 0.0747
O1 O 0.1006 0.0000 0.3599
O2 O 0.1070 0.5000 0.3878
O3 O 0.1201 0.2289 0.8614
```

***

No. 4
Material: VBiPbO5
Method: DFT, PBE with a Hubbard U
State: optimized geometry

Output
- calculated density (g/cm³) = 7.06
- energy with MP2020 corrections (eV/f.u.) = -57.48
- offset from the most stable computed form (eV/f.u.) = 0.14
- magnetic moment (μB per cell) = 0.0

```
data_VBiPbO5
_cell_length_a 13.4238
_cell_length_b 5.6557
_cell_length_c 7.2837
_cell_angle_alpha 90.00
_cell_angle_beta 111.46
_cell_angle_gamma 90.00
_symmetry_space_group_name_H-M 'C 1 2/m 1'
_symmetry_Int_Tables_number 12
loop_
_symmetry_equiv_pos_as_xyz
'x,y,z'
'-x,-y,-z'
'-x,y,-z'
'x,-y,z'
'x+1/2,y+1/2,z'
'-x+1/2,-y+1/2,-z'
'-x+1/2,y+1/2,-z'
'x+1/2,-y+1/2,z'
loop_
_atom_site_label
_atom_site_type_symbol
_atom_site_fract_x
_atom_site_fract_y
_atom_site_fract_z
V1 V 0.1657 0.0000 0.1480
Bi1 Bi 0.0129 0.5000 0.7503
Pb1 Pb 0.1577 0.0000 0.6125
O1 O 0.0000 0.2631 0.5000
O2 O 0.1002 0.0000 0.8932
O3 O 0.1344 0.2494 0.2594
O4 O 0.1956 0.5000 0.7859
```

***

No. 5
Material: Li9Mn2Co5O16
Method: DFT, PBE with a Hubbard U
State: optimized geometry

Output
- calculated density (g/cm³) = 4.19
- energy with MP2020 corrections (eV/f.u.) = -208.75
~~~

_Brief_
Next, count the lines further up that contain the word "Zn" and give the number alone.

_Result_
2